But! Never the less, here it comes: Favorite/Best Parents of YA!!!!
This is a topic that is very near and dear to my heart since the crappy parents of YA are one of my biggest pet peeves when it comes to the genre (and to Kristan Higgins' books). I just hate how the parents are usually a) totally clueless, b) cartoonish to the point of being stupid or c) totally neglectful; and I probably couldn't tell you the names of about 80% of the parents in the YA books I've read.
But there are some parents that really stand out because of their presence in their kids' lives and the love they show them, and those are the ones who are going into this list.
Side Note: I made a conscious decision to not include parents/adults from Melina Marchetta's books because I kind of always put her books / characters into these lists and I could probably fill the list just with them, but! I decided not to do that and go in a different direction. Still, big shot out to Beatriss and Trevanion and Jude Scanlon and company.
Next to the entry, the page also holds calculated crystals:
Entry 1:
Starting from the PBE geometry in Alexandria, the X-ray powder pattern of Cd8Hg3Pd2 was calculated for copper Kα.
Peak positions follow from Bragg's law for the DFT cell and can differ from measured ones.

Largest 10 diffraction maxima, by angle, 2θ from 15° to 90°:
21.86°, 4.066 Å, intensity 14.4; 30.32°, 2.948 Å, intensity 23.0; 31.47°, 2.843 Å, intensity 40.5; 36.97°, 2.431 Å, intensity 48.4; 37.65°, 2.389 Å, intensity 100.0; 38.26°, 2.353 Å, intensity 66.7; 40.97°, 2.203 Å, intensity 20.7; 49.32°, 1.848 Å, intensity 23.2; 65.87°, 1.418 Å, intensity 21.2; 67.07°, 1.395 Å, intensity 17.8

Structural model:
```
data_Cd8Hg3Pd2
_chemical_formula_sum 'Cd8 Hg3 Pd2'
_cell_length_a 8.298
_cell_length_b 8.298
_cell_length_c 4.863
_cell_angle_alpha 90.00
_cell_angle_beta 90.00
_cell_angle_gamma 116.71
_symmetry_space_group_name_H-M 'P 1'
_symmetry_Int_Tables_number 1
_symmetry_space_group_name_Hall 'P 1'
loop_
_atom_site_label
_atom_site_type_symbol
_atom_site_fract_x
_atom_site_fract_y
_atom_site_fract_z
Cd1 Cd 0.118 0.882 0.000
Cd2 Cd 0.158 0.427 0.500
Cd3 Cd 0.321 0.679 0.000
Cd4 Cd 0.427 0.158 0.500
Cd5 Cd 0.573 0.842 0.500
Cd6 Cd 0.679 0.321 0.000
Cd7 Cd 0.842 0.573 0.500
Cd8 Cd 0.882 0.118 0.000
Hg1 Hg 0.000 0.000 0.500
Hg2 Hg 0.312 0.312 0.000
Hg3 Hg 0.688 0.688 0.000
Pd1 Pd 0.215 0.785 0.500
Pd2 Pd 0.785 0.215 0.500
```


Entry 2:
Starting from the PBE geometry in Alexandria, the X-ray powder pattern of Cd3HgPd7 was calculated for copper Kα.
Peak positions follow from Bragg's law for the DFT cell and can differ from measured ones.

Largest 10 diffraction maxima, by angle, 2θ from 15° to 90°:
21.60°, 4.115 Å, intensity 26.4; 28.76°, 3.104 Å, intensity 27.9; 34.54°, 2.597 Å, intensity 57.5; 38.05°, 2.365 Å, intensity 74.7; 38.98°, 2.310 Å, intensity 100.0; 39.16°, 2.300 Å, intensity 22.9; 42.33°, 2.135 Å, intensity 33.6; 43.30°, 2.090 Å, intensity 26.4; 43.75°, 2.069 Å, intensity 37.6; 52.32°, 1.749 Å, intensity 28.4

Structural model:
```
data_Cd3HgPd7
_chemical_formula_sum 'Cd3 Hg1 Pd7'
_cell_length_a 6.600
_cell_length_b 6.600
_cell_length_c 5.268
_cell_angle_alpha 106.95
_cell_angle_beta 106.95
_cell_angle_gamma 91.56
_symmetry_space_group_name_H-M 'P 1'
_symmetry_Int_Tables_number 1
_symmetry_space_group_name_Hall 'P 1'
loop_
_atom_site_label
_atom_site_type_symbol
_atom_site_fract_x
_atom_site_fract_y
_atom_site_fract_z
Cd1 Cd 0.000 0.000 0.000
Cd2 Cd 0.214 0.786 0.500
Cd3 Cd 0.786 0.214 0.500
Hg1 Hg 0.500 0.500 0.000
Pd1 Pd 0.071 0.581 0.822
Pd2 Pd 0.212 0.212 0.534
Pd3 Pd 0.419 0.929 0.178
Pd4 Pd 0.500 0.500 0.500
Pd5 Pd 0.581 0.071 0.822
Pd6 Pd 0.788 0.788 0.466
Pd7 Pd 0.929 0.419 0.178
```


Entry 3:
Starting from the PBE geometry in Alexandria, the X-ray powder pattern of Cd8Hg2Pd was calculated for copper Kα.
Peak positions follow from Bragg's law for the DFT cell and can differ from measured ones.

Largest 10 diffraction maxima, by angle, 2θ from 15° to 90°:
Meg Cabot generally writes good parents into her books, but Joe Mastriani will always be my favorite. He knows his three children pretty well, and lets our leading lady Jess be who she is without trying to push her into a mold of "perfect girlhood" the way her mom does (I don't very much care for Toni Mastriani, I'm afraid). He trusts Jess to make good choices for herself and is generally a cool dad, he doesn't hover but he's always there when his kids need him.
#4 Arthur Weasley (Harry Potter Series)
Yup! only Arthur gets mentioned. While Molly Weasley is easily one of my least liked characters from the Harry Potter series, Arthur is one of my favorites. Once again, he accepts all his children and shows them the same amount of love - while Molly is busy playing favorites - plus, he's a very curious person and I just love that.
I don't remember if they ever get mentioned by name, but it doesn't matter, they are pretty terrific as Mom and Dad. They always try to show their daughter that it's OK that she's growing at her own pace and finding new and different interests other than chasing boys like most of her friends. Plus, her mom has this awesome quote:
"I just want you to know that there are a lot of really great people out there. You might not meet them in high school, but you'll find them and hopefully they won't be concerned with how cool they are rather than how much they like to be around you."
So, yeah, even though I'm very on the fence about Julie Halpern in general, i love this book.
So, yeah, even though I'm very on the fence about Julie Halpern in general, i love this book.
First off, I love The True Meaning of Cleavage which, along with The Earth, My Butt and Other Big Round Things, is one of those books I think should be a "MUST" for younger teens. And I love Mr and Mrs Hovarth - Jess's parents -because they are remarkably unremarkable yet they are always looking out for their daughter and let her know that growing up at her own pace is perfectly okay. Again, they don't hover but they are always around.
These three are actually the ones that inspired this list and they are probably the strangest addition to it. Wei, Craig and Ted formed a sort of co-parenting unit when their six-year-old kids Augie and T.C. decided they were going to be brothers; and now, 8 years later they have assimilated each other into their families and formed one big family unit. Yet, Wei and Craig are still in charge of Augie and would never dream of telling Ted how to raise T.C. and viceversa, they just help each other out and let their kids enjoy their brotherly bond.
I love these three parents because they are not afraid to show their kids how much they love them, they have this wonderful mindset of "I'm going to shower you with my love, so, deal!". And there is also the fact that you can really see that they are friends with each other, and that they have lives other than just being their kids' parents.
So, that's my list for this month! Don't forget to vote on the left sidebar, and please let me know what your favorite parents of YA are in the comments.
I love these three parents because they are not afraid to show their kids how much they love them, they have this wonderful mindset of "I'm going to shower you with my love, so, deal!". And there is also the fact that you can really see that they are friends with each other, and that they have lives other than just being their kids' parents.
So, that's my list for this month! Don't forget to vote on the left sidebar, and please let me know what your favorite parents of YA are in the comments.